IPv6: Time to Return to the End-to-end principle?

With the advent of increasing IPv6 deployment, there are a significant number of experts who think it is time to return to the end-to-end principle for the Internet. Mr. Cheswick, tear down that firewall! Security belongs in the host, not the network, and we are losing significant opportunities for network innovation when we don't allow all machines to talk to each other.

Some have carried this longing for the Original Intent of the Internet for decades. Proxies at any level, circuit, or application, blockade new technologies. They are obstacles to progress, and to the Next Great Internet Service. And they are right. When I ran an early firewall at Bell Labs, new services were always an issue. Could the techniques I had implemented be applied to some new service? In many cases, they could, but in some, they couldn't, and the researcher and his new service ended up outside the firewall.=20

This was a tough line to walk. One doesn't want to stop innovation, especially at a research labs. On the other hand, some of these external machines were hacked, potentially exposing the company to ridicule and perhaps liability.

Now, the argument goes, hosts are much more secure. They have their own internal firewalls. They have grown callouses from years of attacks. Our systems are MacOS, Win7, and Linux, and are updated as needed. The low-hanging fruit is in the old IPv4 systems. Cast off your firewalls!

**Between two parts of the article: data records**
........
# C10H21MoN3P

A molecular structure, C10H21MoN3P (ωB97M-V/def2-TZVPD, the OMol25 dataset).

Structure (XYZ):
```
36
Properties=species:S:1:pos:R:3:forces:R:3:lowdin_charge:R:1
C -1.479500 0.016638 -3.621887 -2.346 1.212 2.453 -0.243
C -1.376404 1.465812 -3.900051 -0.423 -0.232 0.264 -0.196
C -2.203636 2.200785 -3.022682 1.240 -0.088 0.884 -0.094
C -2.578601 1.348697 -1.912150 -0.509 -0.993 -1.957 -0.297
C -2.516569 -0.030018 -2.389469 2.235 0.628 -1.427 -0.201
Mo -0.513220 0.589886 -1.766623 -0.745 -0.260 -0.087 0.965
P 1.869139 -0.209404 -2.111110 0.111 0.320 0.116 0.678
H -1.201611 -0.736624 -4.348867 -0.242 -0.080 0.335 0.085
H -0.777892 1.899783 -4.705723 -0.484 -0.215 0.215 0.102
H -2.515117 3.258342 -3.097454 0.947 -0.518 0.134 0.122
H -3.274460 -0.748031 -2.045757 1.120 -0.238 -0.182 0.102
H -2.983452 1.589000 -0.954485 -0.905 0.476 0.020 0.090
H 2.778062 0.227176 -1.103331 -0.054 -0.228 -0.315 -0.109
H 2.642415 0.087390 -3.246703 0.028 -0.108 0.066 -0.111
H 2.099373 -1.597997 -2.004974 0.044 0.160 -0.050 -0.112
C 0.075827 -2.874188 1.458246 -0.153 0.255 -0.242 -0.047
N 0.360847 -1.553983 2.058585 0.025 0.647 -0.041 -0.123
C 0.679805 -1.608225 3.506240 -0.132 -0.239 0.309 -0.056
C 0.147660 -0.404802 1.306368 -0.068 -0.731 -1.327 -0.372
N -0.499252 -0.506327 0.124758 0.723 -0.393 0.980 -0.041
N 0.661201 0.807175 1.634293 -0.050 0.030 0.567 -0.133
C 1.509763 0.996458 2.791239 0.922 -0.856 1.189 -0.060
C 0.597425 1.980540 0.742012 -0.537 -0.909 0.103 -0.050
H 0.431529 -3.640073 2.150395 -0.048 0.175 -0.243 0.090
H 0.589378 -3.019767 0.491524 -0.132 0.196 0.405 0.096
H -1.005177 -3.034187 1.306797 0.274 0.014 0.094 0.101
H 1.767545 -1.490649 3.708528 -0.821 0.147 -0.102 0.098
H 0.056928 -0.900048 4.097956 0.552 -0.596 -0.452 0.100
H 0.422513 -2.623321 3.849477 -0.021 0.540 -0.115 0.089
H -0.844088 -1.462094 0.033196 -0.119 0.540 -0.178 0.040
H 1.788621 2.028499 2.897624 -0.174 0.461 -0.062 0.080
H 1.037314 0.687785 3.751885 0.420 0.458 -0.954 0.084
H 2.486241 0.469164 2.695635 -0.640 0.075 0.013 0.111
H 1.207831 1.802357 -0.160924 -0.009 0.292 0.176 0.033
H -0.450014 2.175696 0.454126 0.292 0.150 0.126 0.083
H 1.009575 2.808552 1.333306 -0.320 -0.092 -0.717 0.099
```
Forces are in eV/Å.

- multiplicity = 3
- ⟨S²⟩ = 2.02
- E_HOMO (alpha / beta) (eV) = -10.6 / -10.2
- total charge = +1
- Kohn-Sham gap (alpha / beta) (eV) = 7.76 / 7.09
- ΔE to the lowest compared entry with this formula, charge and spin (eV) = 0.225
- total energy (eV) = -26315.894

# C29H33BaN3O

A molecular structure, C29H33BaN3O (ωB97M-V/def2-TZVPD, the OMol25 dataset).

Structure (XYZ):
```
67
Properties=species:S:1:pos:R:3:forces:R:3:lowdin_charge:R:1
Ba -0.629504 -1.031525 1.315184 1.135 0.196 0.664 1.696
N 0.354401 -2.604493 3.489556 -0.381 0.364 2.058 -0.134
N 0.303905 -2.602297 -0.863418 -0.914 0.153 0.336 -0.084
C 0.712175 1.962909 0.796614 0.057 -0.591 0.648 -0.309
C 1.736348 1.015062 1.083414 -0.661 0.430 0.899 -0.335
........
**The data records stop here**

Their conclusion: we don't need firewalls any more. My instant response is that they have lost their minds, of course you still need networked firewalls for many classes of computers, and we are going to need an IPv6 version of NAT (I call it "address whitening"), as well.

Neither conclusion is necessarily correct. They both make sweeping cost/benefit analyses that cannot be properly applied en masse. There are hosts that don't need firewalls: I have run several for over 15 years. And, with care, one can run current clients somewhat safely. Malware is often invited into a machine, like Buffy's vampires. It used to get injected through weak network services, which are certainly scarcer.

But firewalls don't just keep evil out, they can help keep it from escaping. A firewall can detect and block infection probes and spam transmissions. They are also a good point for blocking some kinds of denial-of-service attacks.

And for some applications, doing without a firewall is out of the question. The people who run our military networks wouldn't think of skinny dipping on the Internet. They have shown immediate interest in IPv6 address whitening, not only for client security, but also to frustrate traffic analysis for outgoing queries. In some implementations, IPv6 even leaks MAC addresses!

So, I fear that many are well-advised to continue using firewalls. Since IPv6 deployment will require duplication of all the IPv4 firewall rules, this is a fine opportunity to rethink these rules and the role of the firewall, especially in intranet deployments. But for now, I will not be running Win7 on the open Internet.